It remains to set down every line further below that contains the word "MnFeTc".

'''
1.
DFT (PBE-GGA) results for an optimized crystal structure of MnFeTc2.

```
MnFeTc2
1.0
-1.888 1.888 3.700
1.888 -1.888 3.700
1.888 1.888 -3.700
Mn Fe Tc
1 1 2
Direct
0.000 0.000 0.000 Mn
0.750 0.250 0.500 Fe
0.250 0.750 0.500 Tc
0.500 0.500 0.000 Tc
```

The polymorph energy (0 for the lowest one) is 0 meV/atom. As for the density of states at the Fermi level: 3.74 states/eV/f.u. The space group is No. 119. Its total magnetization is 0.23 Bohr magnetons per cell. The value obtained for the formation energy is 0.051 eV per atom. The calculation puts the total DFT energy (no corrections) at -38.16 eV per cell.

2.
DFT (PBE-GGA) results for an optimized crystal structure of MnFe2Tc.

```
MnFe2Tc
1.0
4.087 0.000 0.000
0.000 4.087 0.000
0.000 0.000 2.939
Mn Fe Tc
1 2 1
Direct
0.000 0.000 0.000 Mn
0.000 0.500 0.500 Fe
0.500 0.000 0.500 Fe
0.500 0.500 0.000 Tc
```

The polymorph energy (0 for the lowest one) is 73 meV/atom. As for the density of states at the Fermi level: 4.52 states/eV/f.u. The space group is No. 123. Its total magnetization is 6.03 Bohr magnetons per cell. The value obtained for the formation energy is 0.134 eV per atom. The calculation puts the total DFT energy (no corrections) at -35.93 eV per cell.

3.
DFT (PBE-GGA) results for an optimized crystal structure of MnFeTc.

```
MnFeTc
1.0
5.980 0.000 0.000
0.000 5.980 0.000
0.000 0.000 4.970
Mn Fe Tc
4 4 4
Direct
0.029 0.029 0.000 Mn
0.471 0.529 0.250 Mn
0.529 0.471 0.750 Mn
0.971 0.971 0.500 Mn
0.224 0.776 0.250 Fe
0.276 0.276 0.000 Fe
0.724 0.724 0.500 Fe
0.776 0.224 0.750 Fe
0.244 0.244 0.500 Tc
0.256 0.744 0.750 Tc
0.744 0.256 0.250 Tc
0.756 0.756 0.000 Tc
```

The polymorph energy (0 for the lowest one) is 961 meV/atom. As for the density of states at the Fermi level: 3.92 states/eV/f.u. The space group is No. 92. Its total magnetization is 5.95 Bohr magnetons per cell. The value obtained for the formation energy is 0.969 eV per atom. The calculation puts the total DFT energy (no corrections) at -100.36 eV per cell.

4.
DFT (PBE-GGA) results for an optimized crystal structure of MnFeTc2.

```
MnFeTc2
1.0
0.000 2.978 2.978
2.978 0.000 2.978
2.978 2.978 0.000
Mn Fe Tc
1 1 2
Direct
0.000 0.000 0.000 Mn
0.500 0.500 0.500 Fe
0.250 0.250 0.250 Tc
0.750 0.750 0.750 Tc
```

The polymorph energy (0 for the lowest one) is 118 meV/atom. As for the density of states at the Fermi level: 5.37 states/eV/f.u. The space group is No. 225. Its total magnetization is 0.48 Bohr magnetons per cell. The value obtained for the formation energy is 0.169 eV per atom. The calculation puts the total DFT energy (no corrections) at -37.69 eV per cell.

5.
DFT (PBE-GGA) results for an optimized crystal structure of MnFe2Tc.

```
MnFe2Tc
1.0
1.287 0.743 8.285
-1.287 0.743 8.285
0.000 -1.486 8.285
Mn Fe Tc
1 2 1
Direct
0.000 0.000 0.000 Mn
0.254 0.254 0.254 Fe
0.746 0.746 0.746 Fe
0.500 0.500 0.500 Tc
```

The polymorph energy (0 for the lowest one) is 131 meV/atom. As for the density of states at the Fermi level: 5.20 states/eV/f.u. The space group is No. 166. Its total magnetization is 1.49 Bohr magnetons per cell. The value obtained for the formation energy is 0.192 eV per atom. The calculation puts the total DFT energy (no corrections) at -35.69 eV per cell.

6.
DFT (PBE-GGA) results for an optimized crystal structure of MnFeTc2.

```
MnFeTc2
1.0
0.000 2.990 2.990
2.990 0.000 2.990
2.990 2.990 0.000
Mn Fe Tc
1 1 2
Direct
0.000 0.000 0.000 Mn
0.750 0.750 0.750 Fe
0.250 0.250 0.250 Tc
0.500 0.500 0.500 Tc
```

The polymorph energy (0 for the lowest one) is 75 meV/atom. As for the density of states at the Fermi level: 3.59 states/eV/f.u. The space group is No. 216. Its total magnetization is 4.72 Bohr magnetons per cell. The value obtained for the formation energy is 0.127 eV per atom. The calculation puts the total DFT energy (no corrections) at -37.86 eV per cell.

7.
DFT (PBE-GGA) results for an optimized crystal structure of MnFe2Tc.

```
MnFe2Tc
1.0
-1.470 2.056 4.076
'''

DFT (PBE-GGA) results for an optimized crystal structure of MnFeTc.
MnFeTc